<<<
82
Properties=species:S:1:pos:R:3:lowdin_charge:R:1 method="wB97M-V/def2-TZVPD" gap_ev="4.85 / 5.54" multiplicity=2 e_homo_ev="-16.08 / -16.10" s_squared=0.81 lumo_energy_ev="-11.23 / -10.56" charge=+3
W -0.35 -0.08 0.09 1.7681
N -2.89 2.07 2.68 0.2403
C -2.57 3.22 2.00 -0.1533
C -2.87 4.55 2.24 0.0312
C -2.38 5.47 1.34 -0.0261
C -1.64 5.08 0.22 -0.0314
C -1.33 3.75 -0.03 -0.0159
C -1.80 2.80 0.88 -0.2064
N -1.67 1.42 0.91 -0.0123
C -2.35 1.03 2.01 -0.2276
C -2.40 -0.36 2.36 -0.3019
C -3.07 -1.01 3.37 -0.2586
S -2.79 -2.69 3.29 1.2103
C -1.80 -2.45 1.93 -0.4031
N -1.67 -1.20 1.55 -0.1153
H -3.42 2.02 3.54 0.1964
H -3.45 4.85 3.10 0.1316
H -2.59 6.52 1.49 0.1269
H -1.30 5.83 -0.47 0.1225
H -0.77 3.46 -0.90 0.0891
H -3.69 -0.58 4.13 0.1006
H -1.30 -3.27 1.44 0.0979
S -2.09 -3.91 -1.62 1.1565
C -3.39 -2.81 -1.64 -0.3108
C -3.03 -1.51 -1.33 -0.1545
C -1.66 -1.36 -1.06 -0.3095
C -1.01 -2.61 -1.18 -0.5320
C 0.40 -2.67 -1.12 -0.2511
C 1.15 -3.86 -1.40 0.0185
C 2.46 -3.80 -1.71 0.0589
C 3.07 -2.47 -1.93 -0.1300
C 2.29 -1.28 -1.31 -0.1873
N 0.99 -1.50 -0.78 -0.0834
H -4.37 -3.16 -1.89 0.0961
H -3.75 -0.71 -1.30 0.1151
H 0.64 -4.81 -1.30 0.1253
H 3.06 -4.68 -1.85 0.1475
H 4.13 -2.47 -1.65 0.1654
H 2.90 -0.67 -0.64 0.1377
N 1.36 1.51 0.21 -0.0006
C 1.83 2.36 -0.87 -0.3104
C 2.82 3.30 -0.66 0.0097
C 3.20 4.13 -1.70 -0.0145
C 2.60 4.01 -2.95 -0.0208
C 1.61 3.06 -3.16 -0.0333
C 1.23 2.22 -2.12 -0.3003
P -0.06 0.92 -2.25 1.0827
C 0.81 -0.37 -3.21 -0.2973
C 0.14 -1.24 -4.01 -0.0494
C 0.77 -2.40 -4.57 -0.0346
C 2.05 -2.71 -4.29 -0.0015
C 2.88 -1.89 -3.39 -0.1503
C 2.20 -0.65 -2.79 -0.1635
C -1.31 1.57 -3.38 -0.3513
C -1.00 1.74 -4.73 -0.0948
C -1.90 2.39 -5.56 -0.0304
C -3.10 2.85 -5.05 -0.0240
C -3.42 2.66 -3.71 -0.0421
C -2.52 2.02 -2.87 -0.0991
H 1.03 2.13 0.97 0.1197
H 2.19 1.05 0.63 0.0830
H 3.29 3.39 0.31 0.1332
H 3.97 4.87 -1.54 0.1293
H 2.89 4.67 -3.76 0.1281
H 1.14 2.99 -4.13 0.1063
H -0.89 -1.04 -4.29 0.1229
H 0.19 -3.02 -5.24 0.1229
H 2.51 -3.59 -4.72 0.1372
H 3.84 -1.69 -3.87 0.1662
H 2.82 0.25 -2.83 0.1485
H -0.07 1.37 -5.13 0.1111
H -1.65 2.55 -6.60 0.1262
H -3.81 3.35 -5.70 0.1256
H -4.36 3.01 -3.32 0.1197
H -2.74 1.87 -1.82 0.0855
F 0.37 0.46 2.33 -0.4296
Sb 1.63 -0.94 3.36 1.6531
F 2.07 0.62 4.35 -0.3023
F 2.81 -0.32 1.90 -0.3681
F 2.55 -2.53 3.72 -0.2885
F 0.85 -1.89 1.75 -0.4038
F -0.02 -1.30 4.25 -0.3263

73
Properties=species:S:1:pos:R:3:lowdin_charge:R:1 method="wB97M-V/def2-TZVPD" gap_ev=8.07 e_homo_ev=-10.67 lumo_energy_ev=-2.60 charge=+1
Li -2.04 -1.83 -2.54 0.6134
C 4.64 3.42 -3.20 -0.0361
C 3.46 2.51 -3.04 -0.2606
C 3.59 1.13 -3.14 -0.0186
C 2.50 0.29 -2.99 -0.0430
C 1.25 0.83 -2.76 -0.3309
C 1.09 2.21 -2.68 -0.0799
C 2.19 3.04 -2.82 -0.0268
S -0.24 -0.09 -2.30 1.0329
O -0.66 -1.01 -3.39 -0.5489
C 0.60 -1.18 -1.15 -0.3089
C 1.10 -2.41 -1.57 -0.0561
C 1.74 -3.22 -0.68 0.0074
C 1.83 -2.86 0.68 -0.1454
C 2.41 -3.73 1.63 -0.0204
C 2.44 -3.39 2.96 -0.0616
C 1.89 -2.17 3.39 -0.0580
C 1.33 -1.30 2.49 -0.0218
C 1.29 -1.62 1.12 -0.1247
C 0.71 -0.75 0.15 -0.1501
C 0.27 0.64 0.43 -0.1383
C 1.28 1.64 0.62 -0.0971
C 2.66 1.34 0.65 0.0007
C 3.59 2.34 0.74 -0.0516
C 3.20 3.68 0.81 -0.0617
C 1.87 4.00 0.82 -0.0231
C 0.89 3.00 0.72 -0.1579
C -0.48 3.34 0.67 -0.0028
C -1.42 2.37 0.46 -0.0818
C -1.04 1.03 0.31 -0.3192
S -2.51 0.02 -0.08 1.0711
O -2.11 -1.20 -0.85 -0.6379
C -2.78 -0.55 1.61 -0.3607
C -2.08 -1.64 2.10 -0.0565
C -2.27 -2.03 3.41 -0.0151
C -3.17 -1.36 4.23 -0.2578
C -3.38 -1.78 5.65 -0.0383
C -3.89 -0.29 3.70 -0.0256
C -3.70 0.12 2.40 -0.0701
H 5.57 2.88 -3.02 0.0813
H 4.57 4.26 -2.51 0.0797
H 4.67 3.82 -4.21 0.0925
H 4.56 0.70 -3.34 0.1195
H 2.63 -0.78 -3.06 0.1142
H 0.11 2.62 -2.51 0.1119
H 2.05 4.11 -2.79 0.1223
H 0.96 -2.69 -2.61 0.1166
H 2.17 -4.16 -1.00 0.1226
H 2.83 -4.66 1.30 0.1174
H 2.87 -4.06 3.68 0.1094
H 1.92 -1.92 4.44 0.1099
H 0.91 -0.36 2.82 0.1264
H 2.98 0.32 0.59 0.1203
H 4.65 2.09 0.76 0.1130
H 3.95 4.46 0.85 0.1098
H 1.55 5.03 0.88 0.1173
H -0.77 4.37 0.78 0.1231
H -2.47 2.63 0.37 0.1063
>>>
Could you start at the top of the contents above and write out each line, ending with the one that has "-1.12 -0.2511"?
82
Properties=species:S:1:pos:R:3:lowdin_charge:R:1 method="wB97M-V/def2-TZVPD" gap_ev="4.85 / 5.54" multiplicity=2 e_homo_ev="-16.08 / -16.10" s_squared=0.81 lumo_energy_ev="-11.23 / -10.56" charge=+3
W -0.35 -0.08 0.09 1.7681
N -2.89 2.07 2.68 0.2403
C -2.57 3.22 2.00 -0.1533
C -2.87 4.55 2.24 0.0312
C -2.38 5.47 1.34 -0.0261
C -1.64 5.08 0.22 -0.0314
C -1.33 3.75 -0.03 -0.0159
C -1.80 2.80 0.88 -0.2064
N -1.67 1.42 0.91 -0.0123
C -2.35 1.03 2.01 -0.2276
C -2.40 -0.36 2.36 -0.3019
C -3.07 -1.01 3.37 -0.2586
S -2.79 -2.69 3.29 1.2103
C -1.80 -2.45 1.93 -0.4031
N -1.67 -1.20 1.55 -0.1153
H -3.42 2.02 3.54 0.1964
H -3.45 4.85 3.10 0.1316
H -2.59 6.52 1.49 0.1269
H -1.30 5.83 -0.47 0.1225
H -0.77 3.46 -0.90 0.0891
H -3.69 -0.58 4.13 0.1006
H -1.30 -3.27 1.44 0.0979
S -2.09 -3.91 -1.62 1.1565
C -3.39 -2.81 -1.64 -0.3108
C -3.03 -1.51 -1.33 -0.1545
C -1.66 -1.36 -1.06 -0.3095
C -1.01 -2.61 -1.18 -0.5320
C 0.40 -2.67 -1.12 -0.2511